Power Automate Create a CSV Table [7 Examples]

In this Power Automate tutorial, we will learn Power automate create a CSV table. We will see different examples of how to create a CSV table in Power Automate. And also we will discuss the below points:

  • Power automate create CSV table
  • How to create CSV table from JSON in Power Automate
  • How to create CSV table from SharePoint list in Power Automate
  • Power automate create CSV table from an array
  • Power automate create CSV table custom columns
  • How to create CSV table from excel file in Microsoft flow or Power Automate
  • Power automate create CSV table CSV file

Power automate create a CSV table

Here we will see how to create a CSV table using Power Automate.

In Power Automate, select the Manually triggered flow, then click on the Next step.

Power automate create a CSV table action
Power automate create a CSV table action

Select the Initialize variable action, then provide the variable name, type as an array, and in value write the below sample value.

Power automate create a CSV table
Power automate create a CSV table

Now we will create a CSV table, so click on the next and select Create CSV table action. Then provide in From field the variable from dynamic content and in column fieldset Automatic.

Microsoft Flow create a CSV table
Microsoft Flow create a CSV table

Now click on Save and run the flow you can see the result in the output of Create table action.

how power automate create csv table
how power automate create csv table

This is an example of Power Automate create a CSV table.

Read How to update SharePoint Multiselect column in Power Automate

Power automate create CSV table from JSON

Here we will see how to create a CSV file from JSON using Power Automate.

Now we will create a flow that will create a file from the below JSON data.


  "base": "EUR",
  "date": "2021-09-16",
  "rates": {
    "MYN": 24.1678,
    "HRF": 356.500528,
    "MYR": 5.880332

And we expect a CSV table like below.

Base, date, fromCurrency, exchange rate

EUR,2021-09-16,”MXN”, 24.1678

EUR,2021-09-16,”HUF”, 356.500528

EUR,2021-09-16, “MYR”, 5.880332

Let’s see how Power Automate creates a CSV table from JSON.

********
Computed, not measured: a cluster of 2 separate species, C5H16N in total, with ωB97M-V/def2-TZVPD.

The maximum force comes out at 2.6 eV/Å. The charge is +1. The HOMO-LUMO gap comes out at 10.203 eV.

Structure (XYZ):
```
22
Properties=species:S:1:pos:R:3:forces:R:3
C -2.128 0.144 -0.039 0.0 -0.3 -2.6
C -1.735 -0.547 1.223 -0.6 -1.0 0.7
N -2.430 1.602 0.195 -0.1 1.1 1.1
H -1.320 0.088 -0.765 0.4 0.4 0.2
H -2.916 -0.246 -0.721 -0.2 -0.1 1.4
H -1.716 -1.628 1.090 -0.4 -0.1 -0.4
H -2.478 -0.378 2.026 0.6 0.0 -0.1
H -1.731 2.274 -0.138 0.4 -0.4 0.2
H -3.298 2.018 -0.149 -0.3 -0.8 -0.3
H -2.510 1.698 1.221 0.2 0.3 -0.3
H -0.695 -0.405 1.515 -0.2 0.8 0.2
C 1.561 -0.262 -0.315 -2.3 0.2 1.0
C 2.246 0.443 -1.465 1.2 0.1 0.1
C 2.291 -1.397 0.359 1.5 -0.7 -1.6
H 1.240 0.390 0.515 0.5 0.6 -0.2
H 0.537 -0.511 -0.667 0.6 -0.8 -0.1
H 1.583 0.513 -2.320 0.0 0.2 -0.2
H 1.773 -2.194 0.870 -0.7 0.3 0.4
H 2.845 -1.936 -0.425 -0.1 0.0 0.1
H 3.088 -0.996 0.970 0.1 0.1 0.5
H 2.637 1.425 -1.191 -0.3 0.1 -0.1
H 3.152 -0.096 -1.788 -0.4 -0.1 0.0
```
Positions in Å, forces in eV/Å.


No. 1
DFT (the ωB97M-V functional and the def2-TZVPD basis) results for a cluster of 12 separate species, C35H100N6O12 in total at a distorted geometry.

Geometry (Å):
C -3.87 0.42 -0.45
O -3.28 -0.79 -0.78
C -3.97 -1.46 -1.83
C -3.04 -2.59 -2.33
C -3.81 -3.37 -3.36
N -2.62 -3.44 -1.27
H -3.94 1.03 -1.33
H -3.29 1.01 0.23
H -4.91 0.30 -0.01
H -5.01 -1.81 -1.60
H -3.99 -0.77 -2.64
H -2.14 -2.13 -2.76
H -4.83 -3.65 -3.05
H -3.18 -4.30 -3.58
H -3.84 -2.83 -4.31
H -2.57 -3.03 -0.32
H -3.30 -4.16 -1.01
C 4.43 0.97 3.47
O 3.03 1.06 3.60
C 2.57 0.65 4.88
C 1.12 0.82 5.10
C 0.86 0.45 6.52
N 0.29 -0.08 4.35
H 4.88 1.52 4.31
H 4.78 1.43 2.58
H 4.78 -0.07 3.50
H 2.71 -0.46 4.94
H 3.18 1.13 5.67
H 0.86 1.85 5.06
H 1.14 -0.58 6.72
H -0.20 0.51 6.71
H 1.27 1.16 7.20
H 0.30 0.23 3.38
H -0.70 0.01 4.66
C -1.04 -4.79 5.92
O -1.68 -5.05 4.67
C -2.62 -3.97 4.34
C -3.22 -4.32 3.01
C -4.04 -5.57 3.00
N -2.17 -4.28 1.96
H -0.55 -3.82 5.90
H -0.34 -5.59 6.09
H -1.85 -4.72 6.69
H -3.35 -3.88 5.18
H -2.12 -2.99 4.35
H -3.81 -3.41 2.80
H -4.52 -5.66 2.01
H -4.75 -5.60 3.87
H -3.37 -6.42 3.03
H -1.48 -5.00 2.07
H -1.67 -3.41 1.81
C -0.51 -0.24 -5.92
O -0.02 0.51 -4.85
C 0.51 -0.38 -3.86
C 1.96 -0.85 -4.22
C 2.46 -1.85 -3.16
N 2.88 0.29 -4.34
H -0.54 0.39 -6.82
H -1.54 -0.60 -5.79
H 0.08 -1.09 -6.14
H 0.58 0.12 -2.91
H -0.11 -1.25 -3.69
H 1.90 -1.34 -5.21
H 2.53 -1.27 -2.18
H 3.42 -2.34 -3.51
H 1.75 -2.67 -2.98
H 2.52 1.10 -4.87
H 3.25 0.45 -3.36
C 2.58 3.10 -2.19
O 2.86 3.21 -3.57
C 2.62 4.42 -4.27
C 2.03 4.01 -5.59
C 1.90 5.24 -6.49
N 0.73 3.48 -5.50
H 3.26 3.72 -1.58
H 2.65 2.06 -1.92
H 1.55 3.42 -1.93
H 1.93 5.07 -3.67
H 3.52 5.00 -4.33
H 2.77 3.25 -6.00
H 1.63 4.91 -7.52
H 2.84 5.83 -6.60
H 1.10 5.88 -6.06
H 0.73 2.48 -5.54
H 0.11 3.92 -6.15
C -3.68 5.53 0.36
O -2.71 5.40 -0.68
C -2.68 4.05 -1.08
C -1.92 3.93 -2.39
C -2.52 4.70 -3.55
N -1.88 2.48 -2.75
H -3.77 6.56 0.69
H -3.34 4.92 1.22
H -4.70 5.24 0.00
********

In Power Automate, select the Manually triggered Flow, then click on Next step.

Power automate create csv table action 1

Select Initialize variable action, then provide the variable name, and type as a string.

MS flow json to csv
MS flow JSON to CSV

Next, we will initialize another variable to store JSON data, so click on the Next step and select Initialize variable action. Then provide the variable name, type as a string, and in value above JSON code.

Microsoft  flow json to csv
Microsoft flow JSON to CSV

Now we will parse the above code, so click on the next step and select Parse JSON action. Then in the Content field select the JSON variable from dynamic content. Then you can generate the schema like below:

    "type": "object",
    "properties": {
        "base": {
            "type": "string"
        "date": {
            "type": "string"
        "rates": {
            "type": "object",
            "properties": {
                "MYN": {
                    "type": "number"
                "HRF": {
                    "type": "number"
                "MYR": {
                    "type": "number"
power automate create csv table from json
power automate create CSV table from JSON

Now we will append the header to the CSV table, so click on the Next step and select Append string variable action, then provide the variable name as CSVData, and in value write the below.

Microsoft Flow create csv table from json
Microsoft Flow create csv table from json

In the next step, we will add the row for MYN, so click on the Next step and select Append the string variable. Then provide the variable name, and in value write the below value.

MS Flow create csv table from json
MS Flow create csv table from json

Now we will append the row to the CSV table for HRF, so click on the Next step and select Append to a string variable. Then provide the variable name as CSV data, and write the value.

How MS Flow create csv table from json
How MS Flow create CSV table from JSON

Now we will append another row, so click on the next step and select Append to a string variable, then provide the variable name and add the value like below.

How to create csv table from json using MS Flow
How to create CSV table from JSON using MS Flow

Now we will create a CSV file in the SharePoint library, so click on the Next step and select Create file action. Then provide the site address, folder path, file name with CSV extension and provide the file content.

How to create csv table from json using Microsoft Flow
How to create CSV table from JSON using Microsoft Flow

Now click on save and run the flow manually, you can see in the SharePoint document library a CSV file is created.

How to create csv table from json using Power Automate
How to create CSV table from JSON using Power Automate

Now open that CSV file, and you can see data get created.

create csv table from json using Power Automate
create CSV table from JSON using Power Automate

This is an example of Power Automate create a CSV table from JSON.

See also  Power BI DAX SUM and SUMX function - How to use

Read Power Automate Create File

Power automate create CSV table from SharePoint list

Here we will see how to create a CSV table from SharePoint List using Power Automate.

So here we have a SharePoint list called Project Management list, and by using the item we will create a CSV table.

power automate create csv table from SharePoint list
power automate create CSV table from SharePoint list

In Power Automate, select the Manually triggered Flow and then click on the Next step.

Microsoft Flow create csv table from SharePoint list
Microsoft Flow create CSV table from SharePoint list

Now get the items from the SharePoint list, so click on the Next step and select Get Items action. Then provide the site address and list name and also set the Top count as 100 as per requirement.

How power automate create csv table from SharePoint list
How power automate create CSV table from SharePoint list

To create a CSV table, click on the Next step and select Create CSV table action. Then in From select the value from the dynamic content, and in column change the Automatic to custom, then map the value from the dynamic content.

MS Flow create csv table from SharePoint list
MS Flow create CSV table from the SharePoint list

Now click on Save and run the flow manually to see the result in the output of create CSV table.

How MS Flow create csv table from SharePoint list
How MS Flow create csv table from SharePoint list

This is an example of MS Flow creating a CSV table from the SharePoint list.

Read How to call a flow from another flow in Power Automate

Power Automate create csv table from array

Here we will see creating a CSV table from an array using Power Automate.

In Power Automate, select the Manually triggered Flow, then click on the Next step.

MS Flow create csv table from array
MS Flow create a CSV table from an array

Select Initialize variable action, then provide the variable name, type as Array, and in value field write the sample value.

MS Flow create csv table from array
MS Flow create CSV table from an array

Now, we will parse the above code, so click on the Next step and select Parse JSON action, then in content add the above array variable, and in the schema, we will generate the below schema.

    "type": "array",
    "items": {
        "type": "object",
        "properties": {
            "First Name": {
                "type": "string"
            "Last Name": {
                "type": "string"
            "Department": {
                "type": "string"
            "Hire Date": {
                "type": "string"
            "HireDate": {
                "type": "string"
        "required": [
            "First Name",
            "Last Name",
Microsoft Flow create csv table from array
Microsoft Flow create CSV table from an array

Now we will create the CSV table, so click on the Next step and select Create CSV table action. Then in From add the body of the parse JSON from the dynamic content and in columns select the Automatic.

power automate create csv table from array
power automate create csv table from array

This is an example of Power Automate creating a CSV table from an array.

Read Power Automate Set Variable

Power Automate create CSV table custom columns

Here we will see how to create a CSV table custom columns using Power Automate.

In Power Automate, select the Manually triggered flow, then click on the Next step.

Power Automate create CSV table custom columns
Power Automate create CSV table custom columns

Select Initialize variable action, then provide the variable name, type as Array, and in value write the below sample value.

"First Name":"Michel",
"Last Name":"Watson",
"Hire Date":"11-10-2021"
"First Name":"John",
"Last Name":"Stwert",
How Power Automate create CSV table custom columns
How Power Automate create CSV table custom columns

Now we will create parse the above code to get the data, so click on the Next step and select Parse JSON action, then in content add the output of the above step from dynamic content, and then in Schema, add the below sample schema.

    "type": "array",
    "items": {
        "type": "object",
        "properties": {
            "First Name": {
                "type": "string"
            "Last Name": {
                "type": "string"
            "Department": {
                "type": "string"
            "Hire Date": {
                "type": "string"
            "HireDate": {
                "type": "string"
        "required": [
            "First Name",
            "Last Name",
MS Flow create CSV table custom columns
MS Flow create CSV table custom columns

Now we will create a CSV table using custom columns, so click on the Next step and select Create CSV table action. Then in From field, select the body from the dynamic content. Then in the columns field change the Automatic to Custom from the option. Next map the custom header with the parse JSON value.

Microsoft Flow create CSV table custom columns
Microsoft Flow create CSV table custom columns

Now click on Save and run the Flow manually, you can see the CSV table in the output of Create CSV table.

create CSV table custom columns using Microsoft Flow
create CSV table custom columns using Microsoft Flow

This is an example of Power Automate Create CSV table custom columns.

See also  Power Apps Gallery Patch [With Various Examples]

Read Power Automate wait timer

Power Automate create CSV table CSV file

Here we will see how Power Automate creates a CSV table and then creates a CSV file using Power Automate.

In this example, we will use the SharePoint list called Project Management list. We will use this list to create a CSV file.

power automate create csv table csv file
Power Automate create CSV table csv file

In Power Automate, select the Manually triggered Flow, then click on the Next step.

How power automate create csv table csv file
How power automate create CSV table CSV file

Select, Get items action, then provide site address, List name, and Top count as 100.

Microsoft Flow create csv table csv file
Microsoft Flow create csv table csv file

Now we will create a CSV table with the custom columns, so click on the next step and select Create CSV table action, then in From field select the value from dynamic content. And select column as custom, then map the custom header with SharePoint column value.

MS Flow create csv table csv file
MS Flow create csv table csv file

Now we will create a CSV file in the SharePoint library, so click on the Next step and select Create File action. Then Provide the site address, folder path, file name, and in the file content add the output from the dynamic content.

How MS Flow create csv table csv file
How MS Flow create csv table csv file

Now click on Save and run the Flow manually, you can see a file created in the SharePoint library.

Microsoft Flow create csv table csv file
Microsoft Flow create csv table csv file

And open this CSV file, you can see the data you have created.

How to create csv table custom column using Microsoft Flow
How to create csv table custom column using Microsoft Flow

This is an example of Power Automate creating a CSV table CSV file.

Read Power Automate update SharePoint list increment integer field

Power automate create CSV table from excel file

Here we will see how to create a CSV table from an excel file using Power Automate.

I have an excel sheet called the Product review excel sheet, which we will use to create a CSV table. If your excel sheet is on a local desktop, then upload it into

MS Flow create csv table from excel file
MS Flow create csv table from excel file

In Power Automate, select the Manually triggered Flow, then click on the Next step.

Microsoft Flow create csv table from excel file
Microsoft Flow create csv table from excel file

To get the excel data, select List rows present in a table action, then provide Location, Document Library, File, and table in excel sheet.

Power automate create csv table from excel file
Power automate create csv table from excel file

Now we will create a CSV table, click on the Next step, and select Create CSV table. Then in From select value from the above step, from the dynamic content. Then in columns select Automatic and also you can custom the column.

How power automate create csv table from excel file
How power automate create csv table from excel file

Now click on Save and run the Flow, you can see the output in the create CSV table.

How Microsoft Flow create csv table from excel file
How Microsoft Flow create CSV table from an excel file

This is an example of Power Automate creating a CSV table from an excel file.

Create a CSV table with custom columns using Power Automate

Initially, we will get items from the SharePoint list, and then we will create a CSV (Comma Separated Values)table with custom columns using Microsoft Flow.

In this example, we will use the below List:

  • Conference Room â€“ default Title column
  • Reservation Date – Date Type
  • Reserved by â€“ Person or Choice Type
  • Seating Capacity â€“ Choice Type
  • Contact Number â€“ Number Type
create CSV table custom columns using Power Automate

Let us see how to create a CSV table with custom columns using Power Automate flow.


Create an instant cloud flow, enter the flow name, select the manually trigger a flow action, and click the create button.

How to create CSV table custom columns using Power Automate


  • Add the +New step and then select get items action from action triggers to get all the items from the SharePoint list.
  • Configure the SharePoint site address and List name. Here I have selected my list name (Conference Room Reservation).
create CSV table custom columns using Power Automate flow


  • Select and add, create a CSV table from action, and expand the Show advanced options. In the column section, choose Custom column values.
  • Under the Header field, pass the column header values, and in the values field, then map the value from the dynamic content.
Example to create CSV table custom columns using Power Automate flow


See also  How to use Power Apps List box control?

Now click on Save and run the flow manually by selecting the run flow option. Once the flow ran successfully. We can see that the CSV table has been generated in the CSV table output section.

Example to create CSV table custom columns using Power Automate

This is how to create a CSV table with custom columns using Power Automate flow.

Create CSV table from JSON using Power Automate

In this Power Automate article, we will learn how to create a CSV table from JSON using the Power Automate flow.


Here we are going to trigger the flow manually and request the user to Upload a JSON data file. The JSON file that I’m going to use in this example, contains all the Customer Details like:

  • Name
  • CustomerCode
  • CustomerLocation
  • ContactNumber

+++
1.
The following is a DFT calculation (ωB97M-V/def2-TZVPD) of C22H20BCaF5N8S as an isolated structure at a distorted geometry.

<S²>: 0.778
Total charge: +1
Energy relative to the best compared isomer or geometry (same formula, charge and spin): 11.79 kJ/mol
Molar mass: 574.40 g mol⁻¹
LUMO level (spin up / spin down): -2.92 / -6.43 eV
Spin multiplicity: 2

Cartesian coordinates (Å):
H1 -0.173 4.138 -4.021
C1 -2.386 -2.500 -0.130
C2 0.210 2.283 -3.038
N1 1.222 -2.114 -2.076
H2 2.001 -0.331 -3.776
H3 -1.510 3.569 -3.031
N2 -1.610 -0.396 -0.235
F1 -4.678 1.511 3.403
H4 -0.451 -3.341 -0.883
C3 1.817 -4.163 -2.343
B1 0.794 -0.905 -1.286
F2 -4.567 2.085 6.019
H5 -0.071 4.278 -2.279
H6 0.706 -4.468 -4.263
N3 -0.033 1.452 -2.024
C4 2.502 -5.465 -2.071
H7 2.458 -6.106 -2.949
N4 1.823 -0.488 -0.164
N5 1.937 -3.141 -1.517
C5 3.338 2.198 1.713
C6 -3.956 -0.553 0.536
H8 2.032 -5.997 -1.244
C7 -0.422 3.635 -3.089
C8 1.365 0.459 -3.418
C9 2.947 0.910 1.066
H9 -4.743 -1.304 0.509
F3 -2.352 3.099 7.152
C10 -1.242 2.742 3.687
H10 1.468 2.120 -4.861
C11 3.620 -0.305 1.113
C12 1.090 1.700 -3.946
Ca1 -0.367 1.484 0.210
N6 -0.626 -1.266 -0.654
H11 3.121 3.050 1.069
H12 3.013 -2.189 0.050
C13 -2.358 2.824 5.862
C14 2.873 -1.159 0.330
C15 0.627 -2.539 -3.220
F4 -0.166 3.546 5.630
F5 -2.501 1.930 1.839
H13 2.843 2.350 2.673
C16 -3.506 2.298 5.281
N7 1.854 0.817 0.301
H14 -4.261 0.271 -0.108
S1 0.122 3.002 2.750
C17 -2.445 2.211 3.154
C18 -1.086 -2.523 -0.586
H15 4.537 -0.527 1.629
H16 -3.895 -0.183 1.558
C19 -1.248 3.046 5.076
N8 0.674 0.304 -2.278
C20 -3.558 1.993 3.912
H17 -0.021 -1.892 -3.787
H18 -3.044 -3.337 0.018
H19 4.409 2.199 1.910
H20 3.551 -5.313 -1.820
C21 0.988 -3.842 -3.436
C22 -2.668 -1.154 0.077

For reference, the Mulliken charges in units of e are: atom 1 (H): 0.376, atom 2 (C): -1.347, atom 3 (C): 0.525, atom 4 (N): 0.642, atom 5 (H): 0.635, atom 6 (H): 0.313, atom 7 (N): -1.316, atom 8 (F): -0.267, atom 9 (H): 0.432, atom 10 (C): 0.813, atom 11 (B): -0.203, atom 12 (F): -0.247, atom 13 (H): 0.256, atom 14 (H): 0.438, atom 15 (N): -1.162, atom 16 (C): -1.274, atom 17 (H): 0.365, atom 18 (N): 1.223, atom 19 (N): -1.171, atom 20 (C): -1.482, atom 21 (C): -1.215, atom 22 (H): 0.282, atom 23 (C): -1.372, atom 24 (C): -0.216, atom 25 (C): 0.666, atom 26 (H): 0.378, atom 27 (F): -0.243, atom 28 (C): 0.221, atom 29 (H): 0.445, atom 30 (C): -1.282, atom 31 (C): -1.241, atom 32 (Ca): 1.764, atom 33 (N): 1.662, atom 34 (H): 0.330, atom 35 (H): 0.588, atom 36 (C): 0.130, atom 37 (C): -0.020, atom 38 (C): -0.414, atom 39 (F): -0.272, atom 40 (F): -0.231, atom 41 (H): 0.233, atom 42 (C): 0.593, atom 43 (N): -1.152, atom 44 (H): 0.324, atom 45 (S): -0.372, atom 46 (C): 0.628, atom 47 (C): -0.143, atom 48 (H): 0.460, atom 49 (H): 0.082, atom 50 (C): 0.409, atom 51 (N): 1.488, atom 52 (C): -0.154, atom 53 (H): 0.558, atom 54 (H): 0.443, atom 55 (H): 0.384, atom 56 (H): 0.327, atom 57 (C): -1.217, atom 58 (C): 0.602

***

2.
+++

My Customer Details JSON file consists of below JSON data values:

  "Customers": [
      "Name": "Richard",
      "CustomerCode": "58244",
      "CustomerLocation": "France",
      "ContactNumber": 7894561230
      "Name": "Noah",
      "CustomerCode": "14789",
      "CustomerLocation": "Mexico",
      "ContactNumber": 8456789620
      "Name": "Jordan",
      "CustomerCode": "21456",
      "CustomerLocation": "Germany",
      "ContactNumber": 7584963210
      "Name": "Rufus",
      "CustomerCode": "25896",
      "CustomerLocation": "Canada",
      "ContactNumber": 8457962130
      "Name": "Rachel",
      "CustomerCode": "19835",
      "CustomerLocation": "USA",
      "ContactNumber": 8302165479

Follow the below steps to create a CSV table from a JSON file using Power Automate flow.

Create CSV table from JSON using Power Automate

Let us see the steps to create a CSV table from JSON using Microsoft Flow.


Create an instant cloud flow that triggers manually. Expand the Trigger and add File content as input.

Create CSV table from JSON using Power Automate


Add a Compose action and then pass the below expression to read the file content value.

Create CSV table from JSON using Power Automate flow


  • Select +New step and choose Parse JSON action from the action triggers, and pass the Outputs of the Compose action in Content as highlighted below:
  • Pass the sample JSON object value and choose Done in the Schema section. It will automatically generate the JSON schema as below:
Example to Create CSV table from JSON using Power Automate


  • Select and add, create a CSV table from action, and expand the Show advanced options. In the column section, choose Custom column values.
  • Under the Header field, pass the column header values, and in the values field, then map the value from the dynamic content.
Example to Create CSV table from JSON using Power Automate flow

Now Upload the JSON file and run the flow manually by selecting the run flow option.

How to Create CSV table from JSON using Power Automate

Once the flow ran successfully. We can see that the CSV table has been generated in the CSV table output section.

How to Create CSV table from JSON using Power Automate flow

This is how to create a CSV table from JSON using the Power Automate flow.

In this Power Automate article, we learned how to create a CSV table from JSON using the Power Automate flow.

Related Power Automate tutorials:

In this Power Automate tutorial, we will discuss Power Automate creating a CSV table. And also discuss the below points:

  • Power automate create CSV table from JSON
  • Power automate create CSV table from SharePoint list
  • Power automate create CSV table from an array
  • Power automate create CSV table custom columns
  • Power automate create CSV table from excel file
  • Power automate create CSV table CSV file
  • Hi, I’m new to Power Automate and I have a project to create a CSV table from an excel file. I was able to do it, but my issue is that I’d like one of the header title to actually get populated in each row of column. For example; I have 3 column: ID, Code, Amount. I have IDs of the employee ID in the first column, second column I would like pay code Expenses in each row, third column will be the amount. Currently, Expenses sits as header and amounts are in the Expense column. Please help. Thanks.

  • >